Source =
-- begin --
[1]
# Tl4SiS4
Theoretical XRD peak list, a wavelength of 1.5418 Å. Input: a cell relaxed with GGA-PBE.
Kinematic intensities with the Lorentz-polarization factor, no thermal factor.

Unit cell a=8.7574 b=8.7574 c=7.8076 alpha=107.70 beta=107.70 gamma=84.38
Fractional positions:
Tl 0.0118 0.9882 0.5000
Tl 0.2154 0.4280 0.9302
Tl 0.3733 0.8316 0.9600
Tl 0.4280 0.2154 0.4302
Tl 0.5335 0.8068 0.5012
Tl 0.8068 0.5335 0.0012
Tl 0.8316 0.3733 0.4600
Tl 0.9882 0.0118 0.0000
Si 0.1790 0.5943 0.4510
Si 0.5943 0.1790 0.9510
S 0.0255 0.7017 0.6228
S 0.0850 0.3659 0.2664
S 0.1899 0.7410 0.2794
S 0.3659 0.0850 0.7664
S 0.4152 0.5625 0.6274
S 0.5625 0.4152 0.1274
S 0.7017 0.0255 0.1228
S 0.7410 0.1899 0.7794

Top 6 peaks for 5 to 70 degrees two-theta, in order of rising 2θ:
d (Å)	2theta	I (rel.)
4.167	21.33	72
3.740	23.79	95
3.560	25.01	100
3.298	27.04	88
3.136	28.46	74
2.634	34.04	83



[2]
# USiS
Theoretical XRD peak list, a wavelength of 1.5418 Å. Input: a cell relaxed with GGA-PBE.
Kinematic intensities with the Lorentz-polarization factor, no thermal factor.

Unit cell a=4.0631 b=4.0631 c=7.1614 alpha=90.00 beta=90.00 gamma=90.00
Fractional positions:
U 0.2500 0.2500 0.2491
U 0.7500 0.7500 0.7509
Si 0.2500 0.2500 0.6352
Si 0.7500 0.7500 0.3648
S 0.2500 0.7500 0.0000
S 0.7500 0.2500 0.0000

Top 6 peaks for 5 to 70 degrees two-theta, in order of rising 2θ:
d (Å)	2theta	I (rel.)
3.581	24.87	24
3.534	25.20	100
2.873	31.13	35
2.241	40.24	50
2.058	43.99	33
1.761	51.92	30



[3]
# USiS
Theoretical XRD peak list, a wavelength of 1.5418 Å. Input: a cell relaxed with GGA-PBE.
Kinematic intensities with the Lorentz-polarization factor, no thermal factor.

Unit cell a=3.7627 b=3.7627 c=8.0050 alpha=90.00 beta=90.00 gamma=90.00
Fractional positions:
U 0.2500 0.2500 0.2059
U 0.7500 0.7500 0.7941
Si 0.2500 0.7500 0.5000
Si 0.7500 0.2500 0.5000
S 0.2500 0.2500 0.8549
S 0.7500 0.7500 0.1451

Top 6 peaks for 5 to 70 degrees two-theta, in order of rising 2θ:
d (Å)	2theta	I (rel.)
4.002	22.21	30
3.405	26.17	100
2.661	33.69	39
2.216	40.72	46
1.882	48.35	37
1.647	55.83	27



[4]
# Y3SiS2
Theoretical XRD peak list, a wavelength of 1.5418 Å. Input: a cell relaxed with GGA-PBE.
Kinematic intensities with the Lorentz-polarization factor, no thermal factor.

Unit cell a=6.9127 b=6.9127 c=6.9127 alpha=146.16 beta=131.91 gamma=60.09
Fractional positions:
Y 0.0000 0.0000 0.0000
Y 0.3353 0.3353 0.0000
Y 0.6647 0.6647 0.0000
Si 0.5000 0.0000 0.5000
S 0.1666 0.6666 0.5000
S 0.8334 0.3334 0.5000

Top 6 peaks for 5 to 70 degrees two-theta, in order of rising 2θ:
d (Å)	2theta	I (rel.)
3.274	27.24	33
3.255	27.40	33
2.833	31.58	100
2.816	31.77	49
1.997	45.42	87
1.637	56.19	18



[5]
# Y4SiS3
Theoretical XRD peak list, a wavelength of 1.5418 Å. Input: a cell relaxed with GGA-PBE.
Kinematic intensities with the Lorentz-polarization factor, no thermal factor.

Unit cell a=6.8949 b=6.8949 c=6.8949 alpha=131.91 beta=131.91 gamma=70.38
Fractional positions:
Y 0.0000 0.5000 0.5000
Y 0.2499 0.2499 0.0000
Y 0.5000 0.0000 0.5000
Y 0.7501 0.7501 0.0000
Si 0.0000 0.0000 0.0000
S 0.2500 0.7500 0.5000
S 0.5000 0.5000 0.0000
S 0.7500 0.2500 0.5000

Top 6 peaks for 5 to 70 degrees two-theta, in order of rising 2θ:
d (Å)	2theta	I (rel.)
3.247	27.47	44
2.812	31.82	100
1.989	45.62	70
1.695	54.12	14
1.624	56.69	24
1.405	66.57	7



[6]
# Y6ZnSi2S14
Theoretical XRD peak list, a wavelength of 1.5418 Å. Input: a cell relaxed with GGA-PBE.
Kinematic intensities with the Lorentz-polarization factor, no thermal factor.

Unit cell a=9.9363 b=9.9363 c=5.6340 alpha=90.00 beta=90.00 gamma=120.00
Fractional positions:
Y 0.0222 0.5661 0.0000
Y 0.3111 0.1006 0.4990
Y 0.4339 0.4561 0.0000
Y 0.5439 0.9778 0.0000
Y 0.7895 0.6889 0.4990
Y 0.8994 0.2105 0.4990
Zn 0.6667 0.3333 0.2593
Si 0.0000 0.0000 0.9144
Si 0.3333 0.6667 0.4110
S 0.0000 0.0000 0.2879
S 0.0788 0.8534 0.7625
S 0.1466 0.2253 0.7625
S 0.1869 0.4415 0.2597
S 0.2546 0.8131 0.2597
S 0.3333 0.6667 0.7853
S 0.4170 0.1716 0.0258
S 0.5019 0.4185 0.5060
-- stop --
Assignment =
It remains to work out how many lines further up have the word "degrees" in them; a number is enough.
Reply =
5